_Work order_
Next, work out how many lines underneath have the word "Materials" in them; a number is enough.

_Input_
┌──
# SmNiO3

An optimized crystal structure of SmNiO3 (GGA+U, the Materials Project).

Cell: 3.7940 3.7940 3.7940 Å, 90.00 90.00 90.00°
Space group Pm-3m (No. 221)
Asymmetric unit:
Sm (0.0000, 0.0000, 0.0000) x1
Ni (0.5000, 0.5000, 0.5000) x1
O (0.0000, 0.5000, 0.5000) x3

DFT formation energy	-2.33	eV per atom
DFT total energy	-6.479	eV/atom

---

# CaMn3V4O12

An optimized crystal structure of CaMn3V4O12 (GGA+U, the Materials Project).

Cell: 7.5122 7.5550 7.5612 Å, 90.14 90.23 90.07°
Space group P1 (No. 1)
Asymmetric unit:
Ca (0.0000, 0.0000, 0.0000) x1
Ca (0.4986, 0.5000, 0.4988) x1
Mn (0.0009, 0.9988, 0.4994) x1
Mn (0.4979, 0.5007, 0.9992) x1
Mn (0.4992, 0.0001, 0.0001) x1
Mn (0.5045, 0.0001, 0.5004) x1
Mn (0.9906, 0.5001, 0.9990) x1
Mn (0.9994, 0.4998, 0.4976) x1
V (0.2484, 0.2504, 0.7495) x1
V (0.2492, 0.2498, 0.2494) x1
V (0.2491, 0.7499, 0.7495) x1
V (0.2497, 0.7500, 0.2496) x1
V (0.7494, 0.2498, 0.2495) x1
V (0.7491, 0.2497, 0.7491) x1
V (0.7494, 0.7502, 0.7494) x1
V (0.7498, 0.7499, 0.2497) x1
O (0.0036, 0.2936, 0.1889) x1
O (0.0067, 0.7066, 0.1927) x1
O (0.1879, 0.9994, 0.2948) x1
O (0.1975, 0.0076, 0.7059) x1
O (0.2007, 0.3101, 0.4997) x1
O (0.2025, 0.6955, 0.5080) x1
O (0.2970, 0.8041, 0.9912) x1
O (0.2979, 0.1898, 0.9992) x1
O (0.3022, 0.4921, 0.7917) x1
O (0.3111, 0.5003, 0.2041) x1
O (0.4913, 0.7947, 0.3085) x1
O (0.4945, 0.2047, 0.3108) x1
O (0.5042, 0.7931, 0.6877) x1
O (0.5074, 0.2064, 0.6919) x1
O (0.6913, 0.4996, 0.7991) x1
O (0.6970, 0.5080, 0.2048) x1
O (0.7014, 0.8114, 0.0000) x1
O (0.7033, 0.1938, 0.0083) x1
O (0.7946, 0.3059, 0.4907) x1
O (0.7972, 0.6887, 0.4992) x1
O (0.8010, 0.9922, 0.2950) x1
O (0.8086, 0.0004, 0.7002) x1
O (0.9919, 0.2927, 0.8062) x1
O (0.9951, 0.7081, 0.8107) x1

distance to the lowest polymorph of the same formula	0	meV/atom
DFT formation energy	-2.45	eV per atom
DFT total energy	-7.705	eV/atom

---

# FeOF

An optimized crystal structure of FeOF (GGA+U, the Materials Project).

Cell: 14.2163 3.0967 14.2405 Å, 90.00 90.35 90.00°
Space group Pm (No. 6)
Asymmetric unit:
Fe (0.0000, 0.0000, 0.0000) x1
Fe (0.0008, 0.0000, 0.6478) x1
Fe (0.1686, 0.5000, 0.1430) x1
Fe (0.1694, 0.5000, 0.5036) x1
Fe (0.1843, 0.5000, 0.8240) x1
Fe (0.3228, 0.0000, 0.6546) x1
Fe (0.3247, 0.0000, 0.9925) x1
Fe (0.3457, 0.0000, 0.3222) x1
Fe (0.5012, 0.5000, 0.4773) x1
Fe (0.5020, 0.5000, 0.1721) x1
Fe (0.5150, 0.5000, 0.8219) x1
Fe (0.6577, 0.0000, 0.3248) x1
Fe (0.6663, 0.0000, 0.9827) x1
Fe (0.6684, 0.0000, 0.6677) x1
Fe (0.8442, 0.5000, 0.7999) x1
Fe (0.8498, 0.5000, 0.4898) x1
Fe (0.8509, 0.5000, 0.1579) x1
Fe (0.9931, 0.0000, 0.3251) x1
O (0.0690, 0.5000, 0.5889) x1
O (0.1053, 0.0000, 0.0895) x1
O (0.2364, 0.0000, 0.8898) x1
O (0.2407, 0.0000, 0.5476) x1
O (0.2741, 0.5000, 0.7201) x1
O (0.2783, 0.5000, 0.0600) x1
O (0.3973, 0.5000, 0.2558) x1
O (0.4356, 0.0000, 0.4264) x1
O (0.5710, 0.0000, 0.2163) x1
O (0.5719, 0.0000, 0.8900) x1
O (0.6005, 0.5000, 0.7182) x1
O (0.6061, 0.5000, 0.3882) x1
O (0.7705, 0.0000, 0.7580) x1
O (0.8946, 0.0000, 0.5543) x1
O (0.9029, 0.0000, 0.2183) x1
O (0.9327, 0.5000, 0.0490) x1
O (0.9397, 0.5000, 0.3856) x1
O (0.9464, 0.5000, 0.7204) x1
F (0.0654, 0.5000, 0.9215) x1
F (0.0723, 0.5000, 0.2579) x1
F (0.1074, 0.0000, 0.4184) x1
F (0.1088, 0.0000, 0.7619) x1
F (0.2314, 0.0000, 0.2245) x1
F (0.2681, 0.5000, 0.3831) x1
F (0.4054, 0.5000, 0.9226) x1
F (0.4088, 0.5000, 0.5948) x1
F (0.4394, 0.0000, 0.7606) x1
F (0.4457, 0.0000, 0.0847) x1
F (0.5695, 0.0000, 0.5537) x1
F (0.6074, 0.5000, 0.0520) x1
F (0.7284, 0.5000, 0.5860) x1
F (0.7358, 0.5000, 0.2547) x1
F (0.7383, 0.5000, 0.9293) x1
F (0.7640, 0.0000, 0.0882) x1
F (0.7707, 0.0000, 0.4187) x1
F (0.9019, 0.0000, 0.8866) x1

DFT formation energy	-2.04	eV per atom
DFT total energy	-6.015	eV/atom
└──

_Response_
3